There are two financial tools used during the children’s schooling to teach them to handle money from a young age.


When my older daughter was in Primary school, my husband and I started her on the ‘Four Jar ‘ or ‘Four Money Banks’ system. She was able to buy a whole series of Winx Club magazines from her savings. She still has it – her money accomplishment and joy (from two years of persistent saving) – and refuses to let me ‘donate’ it to charity.

This is a financial tool I had learnt and  adapted from a book written by Neale S. Godfrey “Money Doesn’t Grow On Trees – a Parent’s Guide to Raising Financially Responsible Children” . It is a useful book that can be borrowed from our local library and the content is highly digestible ; it offers many practical tips to educate your child about the world of money.



They will be labelled as given below and an example or two of their functions is given as follows:

Spending – your child uses this to buy food during recess

Savings ( medium term) – your child’s savings goals , achieved within a month or two

Savings (long term) – for expenses incurred during his or her course studies at University

Giving – money put aside for birthday gifts for family, friends or for religion offerings

I used money banks which could be locked but you can use bottles or see-through ‘piggy banks’ (particularly if you are starting them younger at Kindergarten at age 5).



You can use your children’s *age as a guide of how much allowance to give weekly. See the the table below as an illustration.

Weekly Allowance Breakdown





Pr.1 ($7) $5 ($1 spent daily) $0.50 $1.00 $0.50


$7.50 ($1.50 spent daily) $0.50 $1.00 $0.50


$10 ($2.00 spent daily) $0.50 $1.00 $0.50



I will cite my situation as an example. Assuming my child (in Primary 6) had her eye on a magazine, and she would have to save part of her allowance to buy it. Over the course of a month (assuming 4 weeks), she would have saved (in medium-term savings) $2.00 ( $0.50 x 4).

And, if she wants to to achieve her goal earlier, and is willing to do additional chores, she is paid $1 for a chore she has to do weekly; that would be an additional $1 earned a week (my daughter had to bring our pet dog downstairs for its toileting every morning and night from Monday to Friday).

Therefore, in total, over the course of one month, she would have saved $6 and be able to achieve her money goals ( buy her magazine).

She would also have learnt deferred gratification.



Yes, it can, but it must be tweaked.

The first difference to note is the canteen food prices which can be threefold that to primary school.

The second is there are more breaks in a secondary school than in primary school – in my older child’s school there are two breaks now – a mid-morning and another lunch break.

So how does that affect the allowance amount?

In Secondary 1 and 2, we gave our daughter $30 weekly (that’s double the  *age guide for weekly allowance I mentioned earlier ) but that is just a GUIDE – it really depends on the canteen food prices of your child’s new school and how hearty your child’s appetite is 🙂

And it is no longer FOUR ‘  MONEY BANKS’; ‘categories’ for the money banks changed after she went to Secondary school ( do note the new amount allotted for each category)

The Spending, Long Term Savings, and the Giving category remain unchanged. However, the Medium Term Savings category has been replaced by Personal Outings and Telecommunications.

These two categories feature very prominently in a teenager’s life – and my child knows that. By then, being quite independent and having experienced the fruits of a savings habit cultivated over time, she decided she had to have these two areas saved for as she knew her parents would not be handing out extra money to her in these areas.

So she saved $5 every week for telecommunications so that she could afford the phone card which cost $18 per card from 7-Eleven  every month and the savings for the personal outings went into paying for her movies whenever she went out with her friends which sometimes included lunch money.



Tips to carry this out:

1. Let your child record all their daily expenses in a book. You can use any notebook. My children have been using the same notebook to record their daily expenses for the last three years.

2. Entering daily expenditures can be very tedious. I knew the advantages outweighed the disadvantages. So I pressed on. Despite the tantrums and ‘forgetfulness’, I only gave my children their following week’s allowance AFTER they had recorded the week’s expenses*

3. At the end of the year, I use their record books to establish an annual budget for their expenses for the following year. I do so by add all the expenses recorded by them and then forming broad categories. For example, if they had spent x amount on tuition and x amount on school outings, I would be aware and include this amount in setting a budget for their next year’s expenses.

(*It is difficult to get your children to record their expenses judiciously. But like everything else, it takes time to cultivate a habit and one has to start somewhere. It is most difficult at the beginning and you can understand why I would not give them their weekly allowance till they did their expenses recording. However, after a month or so, once the ‘action’ became second nature to the children, the behavior becomes ‘automatic’ and your child would have cultivated a good ‘habit’. As a parent, don’t give up!)



On top of giving the child a heightened self-awareness of their spending habits (and when to ‘cut back’ on ‘unnecessaries’ – like” I am spending too much money on sweets”) , expenses recording enables a parent to prepare a budget for the child the following year – it sets out how much money the child can spend on toiletries, clothing and school-related expenses.

In fact, if one keeps at this for three years and then averages the three years’ outgoing expenses in those large expense groups, the fiscal knowledge will come in very handy when it is time to ‘Hand Over’ the clothing or toiletries spending to your older teenager (Upper Secondary ).

This budget given to toiletries and clothing is kept in the bank and your teenager can only spend according to the amount of money he or she has in the bank. And if your child is ready, they can have their own ATM card to manage their funds.

This would also be a suitable time to educate them on various banking accounts and associated banking services.



Money skills is a critical skill to learn and very enjoyable to mentor and teach. Most of the time, the child ‘picks up’ a parent’s attitudes towards money but the skills will have to be coached.

What comes next are calculated crystals, not part of the page:
........
Record 1
AlOs2Pb | PBE-GGA | optimized geometry

Cell: 2.908 2.908 9.179 Å, 90.00 90.00 117.06°
Element x y z (fractional)
Pb: 0.500 0.500 0.250
Os: 0.000 0.000 0.966
Os: 0.000 0.000 0.534
Al: 0.500 0.500 0.750

Computed properties:
As for the energy of formation from the pure elements: 2.60 eV per formula unit.


Record 2
Rb3Tm2PaSe6 | PBE-GGA | optimized geometry

Cell: 7.287 7.287 8.384 Å, 98.33 98.33 119.99°
Each line ends with the local moment (μB).
Element x y z (fractional)
Rb: 0.166 0.834 0.500  0.00
Rb: 0.834 0.166 0.500  0.00
Rb: 0.500 0.500 0.500  0.00
Tm: 0.333 0.667 0.000  0.10
Tm: 0.667 0.333 0.000  0.10
Pa: 0.000 0.000 0.000  1.31
Se: 0.935 0.598 0.804  -0.01
Se: 0.728 0.728 0.196  -0.01
Se: 0.065 0.402 0.196  -0.01
Se: 0.598 0.935 0.804  -0.01
Se: 0.272 0.272 0.804  -0.01
Se: 0.402 0.065 0.196  -0.01

Computed properties:
The calculation puts the formation energy without anion corrections at -18.623 eV/f.u.


Record 3
LaRh2PbBr | PBE-GGA | optimized geometry

Cell: 4.749 5.647 4.749 Å, 90.00 90.00 90.00°
Element x y z (fractional)
Pb: 0.000 0.500 0.000
Rh: 0.000 0.000 0.500
Rh: 0.500 0.000 0.000
Br: 0.000 0.000 0.000
La: 0.500 0.500 0.500

Computed properties:
The calculation puts the formation energy without anion corrections at 1.766 eV/f.u.


Record 4
LiTm3Co8 | PBE-GGA | optimized geometry

Cell: 4.970 4.970 8.585 Å, 73.17 73.17 60.00°
Each line ends with the local moment (μB).
Element x y z (fractional)
Li: 0.873 0.873 0.382  -0.04
Tm: 0.376 0.376 0.871  -0.42
Tm: 0.993 0.993 0.020  -0.40
Tm: 0.505 0.505 0.485  -0.40
Co: 0.938 0.437 0.189  1.28
Co: 0.439 0.938 0.684  1.35
Co: 0.437 0.437 0.189  1.28
Co: 0.938 0.938 0.684  1.35
Co: 0.188 0.188 0.435  1.42
Co: 0.687 0.687 0.938  1.27
Co: 0.437 0.938 0.189  1.28
Co: 0.938 0.439 0.684  1.35

Computed properties:
As for the energy of formation from the pure elements: -2.23 eV per formula unit.


Record 5
CsRbTc2O8 | PBE-GGA | optimized geometry

Cell: 6.481 6.538 8.186 Å, 63.64 66.68 60.29°
Element x y z (fractional)
Cs: 0.500 0.500 0.500
Rb: 0.000 0.000 0.000
Tc: 0.275 0.250 0.199
Tc: 0.725 0.750 0.801
O: 0.893 0.493 0.721
O: 0.652 0.650 0.046
O: 0.107 0.507 0.279
O: 0.348 0.350 0.954
O: 0.544 0.071 0.279
O: 0.456 0.929 0.721
O: 0.106 0.071 0.279
O: 0.894 0.929 0.721

Computed properties:
The calculation puts the formation energy without anion corrections at -20.226 eV/f.u.


Record 6
SrIn2S2 | PBE-GGA | optimized geometry

Cell: 8.268 8.268 3.898 Å, 90.00 90.00 90.00°
Element x y z (fractional)
Sr: 0.000 0.000 0.000
Sr: 0.500 0.500 0.000
S: 0.202 0.702 0.500
S: 0.702 0.798 0.500
S: 0.798 0.298 0.500
S: 0.298 0.202 0.500
In: 0.379 0.879 0.000
In: 0.879 0.621 0.000
In: 0.621 0.121 0.000
In: 0.121 0.379 0.000

Computed properties:
The calculation puts the formation energy without anion corrections at -2.428 eV/f.u.

=====

DFT (GGA-PBE) results for a relaxed structure of K2ZrBi.

Output
DOS(E_F) = 14.18 states/eV/cell
Space-group type = I-42d, No. 122
........

Every child’s personality and capacity for learning is different. It needs to be noted that the most lasting lessons are still those that are child-directed.